Brief =
It remains to give back the whole of the data underneath exactly.

Given =
- - -
Entry 1:
The following is a theoretical powder XRD pattern of Pr3Co11B4. It was derived from DFT lattice parameters and positions (GGA-PBE), using Cu Kα, 1.54184 Å.
Peak positions follow from Bragg's law for the DFT cell and can differ from measured ones.

Top 6 peaks for 10 to 90 degrees two-theta, most intense first:
40.41°, I = 100; 34.16°, I = 97; 44.91°, I = 95; 61.99°, I = 34; 34.81°, I = 29; 69.49°, I = 25

Crystal structure
```
Pr3Co11B4
1.0
5.1550 0.0000 0.0000
-2.5775 4.4644 0.0000
0.0000 0.0000 9.7339
Pr Co B
3 11 4
Direct
0.0000 0.0000 0.0000
0.0000 0.0000 0.3408
0.0000 0.0000 0.6592
0.0000 0.5000 0.2047
0.0000 0.5000 0.5000
0.0000 0.5000 0.7953
0.3333 0.6667 0.0000
0.5000 0.0000 0.2047
0.5000 0.0000 0.5000
0.5000 0.0000 0.7953
0.5000 0.5000 0.2047
0.5000 0.5000 0.5000
0.5000 0.5000 0.7953
0.6667 0.3333 0.0000
0.3333 0.6667 0.3500
0.3333 0.6667 0.6500
0.6667 0.3333 0.3500
0.6667 0.3333 0.6500
```


Entry 2:
The following is a theoretical powder XRD pattern of SrCaNi8Sn4. It was derived from DFT lattice parameters and positions (GGA-PBE), using Cu Kα, 1.54184 Å.
Peak positions follow from Bragg's law for the DFT cell and can differ from measured ones.

Top 6 peaks for 10 to 90 degrees two-theta, most intense first:
43.28°, I = 100; 36.42°, I = 64; 16.07°, I = 30; 74.98°, I = 27; 27.98°, I = 25; 49.58°, I = 23

Crystal structure
```
SrCaNi8Sn4
1.0
-3.9003 3.9003 3.9171
3.9003 -3.9003 3.9171
3.9003 3.9003 -3.9171
Sr Ca Ni Sn
1 1 8 4
Direct
0.0000 0.0000 0.0000
0.5000 0.5000 0.0000
0.0524 0.5493 0.7750
0.2257 0.4507 0.5031
0.2774 0.0524 0.5031
0.4507 0.9476 0.2250
0.5493 0.7743 0.4969
0.7226 0.2257 0.7750
0.7743 0.2774 0.2250
0.9476 0.7226 0.4969
0.0907 0.5907 0.1813
0.4093 0.9093 0.8187
0.5907 0.4093 0.5000
0.9093 0.0907 0.5000
```


Entry 3:
The following is a theoretical powder XRD pattern of MgTa3. It was derived from DFT lattice parameters and positions (GGA-PBE), using Cu Kα, 1.54184 Å.
Peak positions follow from Bragg's law for the DFT cell and can differ from measured ones.

Top 6 peaks for 10 to 90 degrees two-theta, most intense first:
37.07°, I = 100; 42.23°, I = 35; 73.82°, I = 27; 23.51°, I = 24; 63.19°, I = 21; 44.71°, I = 15

Crystal structure
```
MgTa3
1.0
-2.1399 2.1399 4.0535
2.1399 -2.1399 4.0535
2.1399 2.1399 -4.0535
Mg Ta
1 3
Direct
0.0000 0.0000 0.0000
0.2500 0.7500 0.5000
0.5000 0.5000 0.0000
0.7500 0.2500 0.5000
```


Entry 4:
The following is a theoretical powder XRD pattern of MgMnTe2. It was derived from DFT lattice parameters and positions (GGA-PBE), using Cu Kα, 1.54184 Å.
Peak positions follow from Bragg's law for the DFT cell and can differ from measured ones.

Top 6 peaks for 10 to 90 degrees two-theta, most intense first:
23.97°, I = 100; 39.65°, I = 63; 46.81°, I = 32; 46.97°, I = 16; 27.71°, I = 14; 71.89°, I = 14

Crystal structure
```
MgMnTe2
1.0
4.5528 0.0000 0.0000
0.0000 4.5528 0.0000
0.0000 0.0000 6.4115
Mg Mn Te
1 1 2
Direct
0.0000 0.0000 0.0000
0.5000 0.5000 0.5000
0.0000 0.5000 0.2590
0.5000 0.0000 0.7410
```


Entry 5:
The following is a theoretical powder XRD pattern of AgC4Br2O2. It was derived from DFT lattice parameters and positions (GGA-PBE), using Cu Kα, 1.54184 Å.
Peak positions follow from Bragg's law for the DFT cell and can differ from measured ones.

Top 6 peaks for 10 to 90 degrees two-theta, most intense first:
32.24°, I = 100; 23.90°, I = 89; 27.07°, I = 85; 10.55°, I = 83; 34.81°, I = 79; 24.22°, I = 76

Crystal structure
```
AgC4Br2O2
1.0
9.8277 0.0000 0.0000
0.0000 5.8179 0.0000
-6.7948 0.0000 11.1047
Ag C Br O
4 16 8 8
Direct
0.0782 0.2132 0.0040
0.0782 0.2868 0.5040
0.9218 0.7132 0.4960
0.9218 0.7868 0.9960
0.2442 0.7383 0.4998
0.2442 0.7617 0.9998
0.3430 0.0276 0.4072
0.3430 0.4724 0.9072
0.3775 0.6301 0.9993
0.3775 0.8699 0.4993
0.4629 0.1593 0.4081
0.4629 0.3407 0.9081
0.5371 0.6593 0.0919
0.5371 0.8407 0.5919
0.6225 0.1301 0.5007
0.6225 0.3699 0.0007
0.6570 0.5276 0.0928
0.6570 0.9724 0.5928
0.7558 0.2383 0.0002
0.7558 0.2617 0.5002
- - -

Result =
Entry 1:
The following is a theoretical powder XRD pattern of Pr3Co11B4. It was derived from DFT lattice parameters and positions (GGA-PBE), using Cu Kα, 1.54184 Å.
Peak positions follow from Bragg's law for the DFT cell and can differ from measured ones.

Top 6 peaks for 10 to 90 degrees two-theta, most intense first:
40.41°, I = 100; 34.16°, I = 97; 44.91°, I = 95; 61.99°, I = 34; 34.81°, I = 29; 69.49°, I = 25

Crystal structure
```
Pr3Co11B4
1.0
5.1550 0.0000 0.0000
-2.5775 4.4644 0.0000
0.0000 0.0000 9.7339
Pr Co B
3 11 4
Direct
0.0000 0.0000 0.0000
0.0000 0.0000 0.3408
0.0000 0.0000 0.6592
0.0000 0.5000 0.2047
0.0000 0.5000 0.5000
0.0000 0.5000 0.7953
0.3333 0.6667 0.0000
0.5000 0.0000 0.2047
0.5000 0.0000 0.5000
0.5000 0.0000 0.7953
0.5000 0.5000 0.2047
0.5000 0.5000 0.5000
0.5000 0.5000 0.7953
0.6667 0.3333 0.0000
0.3333 0.6667 0.3500
0.3333 0.6667 0.6500
0.6667 0.3333 0.3500
0.6667 0.3333 0.6500
```


Entry 2:
The following is a theoretical powder XRD pattern of SrCaNi8Sn4. It was derived from DFT lattice parameters and positions (GGA-PBE), using Cu Kα, 1.54184 Å.
Peak positions follow from Bragg's law for the DFT cell and can differ from measured ones.

Top 6 peaks for 10 to 90 degrees two-theta, most intense first:
43.28°, I = 100; 36.42°, I = 64; 16.07°, I = 30; 74.98°, I = 27; 27.98°, I = 25; 49.58°, I = 23

Crystal structure
```
SrCaNi8Sn4
1.0
-3.9003 3.9003 3.9171
3.9003 -3.9003 3.9171
3.9003 3.9003 -3.9171
Sr Ca Ni Sn
1 1 8 4
Direct
0.0000 0.0000 0.0000
0.5000 0.5000 0.0000
0.0524 0.5493 0.7750
0.2257 0.4507 0.5031
0.2774 0.0524 0.5031
0.4507 0.9476 0.2250
0.5493 0.7743 0.4969
0.7226 0.2257 0.7750
0.7743 0.2774 0.2250
0.9476 0.7226 0.4969
0.0907 0.5907 0.1813
0.4093 0.9093 0.8187
0.5907 0.4093 0.5000
0.9093 0.0907 0.5000
```


Entry 3:
The following is a theoretical powder XRD pattern of MgTa3. It was derived from DFT lattice parameters and positions (GGA-PBE), using Cu Kα, 1.54184 Å.
Peak positions follow from Bragg's law for the DFT cell and can differ from measured ones.

Top 6 peaks for 10 to 90 degrees two-theta, most intense first:
37.07°, I = 100; 42.23°, I = 35; 73.82°, I = 27; 23.51°, I = 24; 63.19°, I = 21; 44.71°, I = 15

Crystal structure
```
MgTa3
1.0
-2.1399 2.1399 4.0535
2.1399 -2.1399 4.0535
2.1399 2.1399 -4.0535
Mg Ta
1 3
Direct
0.0000 0.0000 0.0000
0.2500 0.7500 0.5000
0.5000 0.5000 0.0000
0.7500 0.2500 0.5000
```


Entry 4:
The following is a theoretical powder XRD pattern of MgMnTe2. It was derived from DFT lattice parameters and positions (GGA-PBE), using Cu Kα, 1.54184 Å.
Peak positions follow from Bragg's law for the DFT cell and can differ from measured ones.

Top 6 peaks for 10 to 90 degrees two-theta, most intense first:
23.97°, I = 100; 39.65°, I = 63; 46.81°, I = 32; 46.97°, I = 16; 27.71°, I = 14; 71.89°, I = 14

Crystal structure
```
MgMnTe2
1.0
4.5528 0.0000 0.0000
0.0000 4.5528 0.0000
0.0000 0.0000 6.4115
Mg Mn Te
1 1 2
Direct
0.0000 0.0000 0.0000
0.5000 0.5000 0.5000
0.0000 0.5000 0.2590
0.5000 0.0000 0.7410
```


Entry 5:
The following is a theoretical powder XRD pattern of AgC4Br2O2. It was derived from DFT lattice parameters and positions (GGA-PBE), using Cu Kα, 1.54184 Å.
Peak positions follow from Bragg's law for the DFT cell and can differ from measured ones.

Top 6 peaks for 10 to 90 degrees two-theta, most intense first:
32.24°, I = 100; 23.90°, I = 89; 27.07°, I = 85; 10.55°, I = 83; 34.81°, I = 79; 24.22°, I = 76

Crystal structure
```
AgC4Br2O2
1.0
9.8277 0.0000 0.0000
0.0000 5.8179 0.0000
-6.7948 0.0000 11.1047
Ag C Br O
4 16 8 8
Direct
0.0782 0.2132 0.0040
0.0782 0.2868 0.5040
0.9218 0.7132 0.4960
0.9218 0.7868 0.9960
0.2442 0.7383 0.4998
0.2442 0.7617 0.9998
0.3430 0.0276 0.4072
0.3430 0.4724 0.9072
0.3775 0.6301 0.9993
0.3775 0.8699 0.4993
0.4629 0.1593 0.4081
0.4629 0.3407 0.9081
0.5371 0.6593 0.0919
0.5371 0.8407 0.5919
0.6225 0.1301 0.5007
0.6225 0.3699 0.0007
0.6570 0.5276 0.0928
0.6570 0.9724 0.5928
0.7558 0.2383 0.0002
0.7558 0.2617 0.5002